The Bridge Project is the name given to the two New York and London theatrical co-productions directed by Oscar winning director Sam Mendes, currently playing at The Brooklyn Academy of Music (BAM). The first production this year features veteran actor Anthony O’Donnell alongside host of American and British luminaries in Shakespeare’s most beguiling comedy As You Like It.
From the first scene in this engaging new show you can tell Mendes is planning a departure from theatrical tradition. When the two brothers Orlando and Oliver come to blows its clear that Mendes has in mind a startlingly new telling of the classic tale. That his new production works as well as it does is a tribute to his skill.
### Calculated crystals, kept here for reference
No. 1
Sm2GaBi2: calculated powder X-ray diffraction pattern (Cu Kα (weighted mean of Kα1 and Kα2)), based on DFT lattice parameters and positions (PBE).
Kinematic intensities with the Lorentz-polarization factor, no thermal factor.

Peak list (8 most intense, 2θ from 10° to 90°, low angle first)
23.78 deg, d 3.742, I 78; 27.31 deg, d 3.265, I 68; 32.84 deg, d 2.727, I 100; 36.52 deg, d 2.460, I 87; 36.74 deg, d 2.446, I 74; 38.33 deg, d 2.348, I 65; 46.03 deg, d 1.972, I 36; 59.62 deg, d 1.551, I 38

Cell and atoms:
```
Sm2GaBi2
1.0
1.9721 -5.9149 0.0000
1.9721 5.9149 0.0000
0.0000 0.0000 13.0618
Sm Ga Bi
4 2 4
Cartesian
1.9721 3.4469 8.0177
1.9721 3.4469 11.5751
1.9721 -3.4469 1.4868
1.9721 -3.4469 5.0441
1.9721 0.7351 3.2655
1.9721 -0.7351 9.7964
1.9721 5.1184 1.4438
1.9721 5.1184 5.0871
1.9721 -5.1184 7.9748
1.9721 -5.1184 11.6180
```

---

No. 2
LaHgAu2: calculated powder X-ray diffraction pattern (Cu Kα (weighted mean of Kα1 and Kα2)), based on DFT lattice parameters and positions (PBE).
Kinematic intensities with the Lorentz-polarization factor, no thermal factor.

Peak list (8 most intense, 2θ from 10° to 90°, low angle first)
31.06 deg, d 2.879, I 11; 33.82 deg, d 2.650, I 18; 34.93 deg, d 2.569, I 31; 35.75 deg, d 2.512, I 100; 38.21 deg, d 2.355, I 22; 49.41 deg, d 1.845, I 12; 63.17 deg, d 1.472, I 19; 70.24 deg, d 1.340, I 13

Cell and atoms:
```
LaHgAu2
1.0
5.1378 0.0000 0.0000
0.0000 6.8575 0.0000
0.0000 0.0000 5.3005
La Hg Au
2 2 4
Cartesian
1.2845 1.7144 0.9603
3.8534 5.1431 4.3402
1.2845 5.1431 1.1197
3.8534 1.7144 4.1808
1.2845 3.4375 3.6209
1.2845 6.8488 3.6209
3.8534 0.0087 1.6796
3.8534 3.4200 1.6796
```

---

No. 3
NiBiTe: calculated powder X-ray diffraction pattern (Cu Kα (weighted mean of Kα1 and Kα2)), based on DFT lattice parameters and positions (PBE).
Kinematic intensities with the Lorentz-polarization factor, no thermal factor.

Peak list (8 most intense, 2θ from 10° to 90°, low angle first)
26.15 deg, d 3.408, I 28; 30.92 deg, d 2.892, I 100; 32.20 deg, d 2.780, I 69; 32.78 deg, d 2.732, I 21; 42.40 deg, d 2.132, I 47; 45.21 deg, d 2.006, I 23; 47.96 deg, d 1.897, I 28; 56.57 deg, d 1.627, I 28

Cell and atoms:
```
NiBiTe
1.0
4.0126 0.0000 0.0000
0.0000 5.4638 0.0000
0.0000 0.0000 6.4574
Ni Bi Te
2 2 2
Cartesian
0.0000 1.2417 0.0000
2.0063 4.2221 3.2287
0.0000 2.6278 4.1385
2.0063 2.8359 0.9098
0.0000 0.1547 2.3289
2.0063 5.3091 5.5576
```

---

No. 4
Y2Ho2CI2Br2Cl: calculated powder X-ray diffraction pattern (Cu Kα (weighted mean of Kα1 and Kα2)), based on DFT lattice parameters and positions (PBE).
Kinematic intensities with the Lorentz-polarization factor, no thermal factor.

Peak list (8 most intense, 2θ from 10° to 90°, low angle first)
13.39 deg, d 6.614, I 20; 23.71 deg, d 3.753, I 36; 29.36 deg, d 3.042, I 54; 30.86 deg, d 2.897, I 21; 32.32 deg, d 2.770, I 100; 33.91 deg, d 2.644, I 35; 43.82 deg, d 2.066, I 29; 44.63 deg, d 2.031, I 30

Cell and atoms:
```
Y2Ho2CI2Br2Cl
1.0
9.2979 -1.9175 0.0000
Shakespeare’s genius is to focus relentlessly on the ties that bind and the acts that sunder them, one of the reasons the play remains as fresh today as the year it was written, and Mendes finds ample opportunity to wed the modern to the classic so that the play achieves a striking level of modernity throughout.
But the life at the court of Duke Frederick has never seemed so ominous, so full of treachery. In Mendes staging even the Edenic forest of Arden has lost a lot of its former innocence, and when the poor banished travelers reach it they find that it’s shrouded in bitter snow.
Someone pasted data records at this point:
- - -
This entry pairs a crystal structure of Sm2GeSe4 with its calculated powder XRD pattern. Radiation: Cu Kα (weighted mean of Kα1 and Kα2). Structure: a cell relaxed with GGA-PBE.
Peak positions follow from Bragg's law for the DFT cell and can differ from measured ones.

Structure:
a = 6.551 Å, b = 6.551 Å, c = 12.038 Å
α = 90.00°, β = 90.00°, γ = 90.00°
Space group I-42m (No. 121)
Symmetry-distinct sites (fractional):
1 Sm 0.000 0.500 0.250 x4
2 Ge 0.000 0.000 0.000 x2
3 Se 0.249 0.249 0.118 x8

Main lines, sorted by position (2θ = 15–90°):
hkl  2θ/deg  I_rel
1 1 0  19.16  18
1 1 2  24.24  100
2 2 0  38.88  29
2 0 4  40.71  50
3 1 2  46.35  35
4 2 4  71.65  18

***

This entry pairs a crystal structure of SmTlGeSe4 with its calculated powder XRD pattern. Radiation: Cu Kα (weighted mean of Kα1 and Kα2). Structure: a cell relaxed with GGA-PBE.
Peak positions follow from Bragg's law for the DFT cell and can differ from measured ones.

Structure:
a = 6.858 Å, b = 6.992 Å, c = 9.014 Å
α = 90.00°, β = 107.08°, γ = 90.00°
Space group P2_1/m (No. 11)
Symmetry-distinct sites (fractional):
1 Sm 0.232 0.250 0.056 x2
2 Tl 0.247 0.250 0.564 x2
3 Ge 0.225 0.750 0.820 x2
4 Se 0.009 0.511 0.218 x4
5 Se 0.427 0.750 0.085 x2
6 Se 0.428 0.750 0.651 x2

Main lines, sorted by position (2θ = 15–90°):
hkl  2θ/deg  I_rel
1 1 0  18.55  68
0 2 0  25.48  73
2 0 -2  28.97  100
1 1 2  30.76  97
2 1 -2  31.74  90
2 2 0  37.62  69

***

This entry pairs a crystal structure of SnGe2Se4 with its calculated powder XRD pattern. Radiation: Cu Kα (weighted mean of Kα1 and Kα2). Structure: a cell relaxed with GGA-PBE.
Peak positions follow from Bragg's law for the DFT cell and can differ from measured ones.

Structure:
a = 7.843 Å, b = 7.843 Å, c = 6.424 Å
α = 90.00°, β = 90.00°, γ = 90.00°
Space group I4/m (No. 87)
Symmetry-distinct sites (fractional):
1 Sn 0.000 0.000 0.000 x2
2 Ge 0.000 0.500 0.250 x4
3 Se 0.163 0.312 0.500 x8

Main lines, sorted by position (2θ = 15–90°):
hkl  2θ/deg  I_rel
2 1 1  29.00  100
2 2 0  32.25  59
2 0 2  36.17  23
1 3 2  46.25  66
2 1 3  49.90  22
1 4 1  50.01  21

***

This entry pairs a crystal structure of SnGe4Te4Se with its calculated powder XRD pattern. Radiation: Cu Kα (weighted mean of Kα1 and Kα2). Structure: a cell relaxed with GGA-PBE.
Peak positions follow from Bragg's law for the DFT cell and can differ from measured ones.

Structure:
a = 4.2315 Å, b = 4.2315 Å, c = 54.8190 Å
α = 90.00°, β = 90.00°, γ = 120.00°
Space group R3m (No. 160, hexagonal axes)
Symmetry-distinct sites (fractional):
1 Sn 0.0000 0.0000 0.0000 x3
2 Ge 0.0000 0.0000 0.2034 x3
3 Ge 0.0000 0.0000 0.4041 x3
4 Ge 0.0000 0.0000 0.6031 x3
5 Ge 0.0000 0.0000 0.8038 x3
6 Te 0.0000 0.0000 0.1105 x3
7 Te 0.0000 0.0000 0.5101 x3
8 Te 0.0000 0.0000 0.7109 x3
9 Te 0.0000 0.0000 0.9097 x3
10 Se 0.0000 0.0000 0.3069 x3

Main lines, sorted by position (2θ = 15–90°):
hkl  2θ/deg  I_rel
1 0 10  29.32  100
0 1 20  41.13  33
1 1 0  42.74  38
0 2 10  52.67  20
1 1 30  67.76  11
- - -
So much for the data records:
As Rosalind, the heart and soul of the production, Juliet Rylance hits the right notes but her wings are oddly clipped by the shadows that form around her. A technically skilled actress who grasps every facet of her whirlwind character, there’s a weight of melancholy in her performance that is rarely seen in the role.
Christian Carmargo, Rylance’s real life husband, plays her ardent suitor Orlando in a showy bit of casting that turns out not have been the good idea it might have sounded. Carmago often seems more adrift in the role than even his heart-shocked character is, to the point where you actually find yourself hoping Ganymede (Rosalind’s disguised alter ego) will slap some necessary sense into him.
As Celia, Rosalind’s devoted cousin, Michelle Beck is obviously miscast in a part that she’s far too much of a theatrical dynamo to excel in. Beck chafes at the requests of her watchful and insular character, preferring to speed through her lines and observations as though she can’t wait to be done with the role.
The uneven casting is compounded by the strength of Stephen Dillane’s turn as the melancholy Jaques. At times an apparent stand in for the playwright himself, Dillane is pitch perfect as the wet blanket who can see past the momentary pleasures that dazzle lesser minds to the darkness that always lies beyond them. Even his detached reading of the seven ages of man, which is one of the highlights of the show, illustrates how deeply the actor has connected with the play.
But a play always depends on its players, even a great one like As You Like It. Mendes in this case has assembled an uneven cast that either excel or are merely adequate till you begin to feel that you’re at two different shows, with two separate casts, simultaneously. The poor casting doesn’t break down along predictable Americans versus Brits lines; it might be helpful if it did. Whilst it’s true that British actors have an advantage over their American counterparts when it comes to the cadences and rhythms of Elizabethan drama, in this production it’s still a toss up between both.
These crystal structures were left in the article by mistake =
~~~
Simulated powder diffraction line list of MgCrGaO4 for Cu Ka, from a DFT-relaxed cell (PBE+U, the Materials Project).

abc: 5.203 3.026 5.211
angles: 90.00 104.58 90.00
Space group Pm (No. 6)
Unique sites:
Mg 0.000 0.000 0.000 (multiplicity 1)
Cr 0.288 0.500 0.714 (multiplicity 1)
Ga 0.674 0.000 0.328 (multiplicity 1)
O 0.019 0.000 0.607 (multiplicity 1)
O 0.395 0.000 0.984 (multiplicity 1)
O 0.522 0.500 0.481 (multiplicity 1)
O 0.857 0.500 0.146 (multiplicity 1)

Most intense lines, 2θ = 10–90°, low angle first:
21.6 deg, 4.119 Å, intensity 60.7, (1 0 -1)
28.0 deg, 3.185 Å, intensity 100.0, (1 0 1)
34.6 deg, 2.594 Å, intensity 70.6, (1 1 0)
35.6 deg, 2.522 Å, intensity 49.9, (2 0 -1)
46.9 deg, 1.937 Å, intensity 64.6, (1 1 -2)
53.9 deg, 1.701 Å, intensity 63.6, (2 1 -2)

Simulated powder diffraction line list of ZnCrGe2O6 for Cu Ka, from a DFT-relaxed cell (PBE+U, the Materials Project).

abc: 10.044 9.228 5.477
angles: 90.00 103.99 90.00
Space group C2/c (No. 15)
Unique sites:
Zn 0.000 0.249 0.250 (multiplicity 4)
Cr 0.000 0.096 0.750 (multiplicity 4)
Ge 0.197 0.412 0.743 (multiplicity 8)
O 0.113 0.255 0.604 (multiplicity 8)
O 0.122 0.083 0.167 (multiplicity 8)
O 0.140 0.440 0.028 (multiplicity 8)

Most intense lines, 2θ = 10–90°, low angle first:
25.6 deg, 3.484 Å, intensity 32.9, (0 2 1)
26.6 deg, 3.350 Å, intensity 33.5, (2 2 0)
29.1 deg, 3.069 Å, intensity 100.0, (3 1 0)
33.8 deg, 2.654 Å, intensity 87.4, (0 0 2)
33.9 deg, 2.643 Å, intensity 33.1, (2 2 1)
62.4 deg, 1.489 Å, intensity 28.5, (5 3 1)

Simulated powder diffraction line list of Li2VFeP2H2O10 for Cu Ka, from a DFT-relaxed cell (PBE+U, the Materials Project).

abc: 6.968 7.409 7.989
angles: 91.18 92.67 117.28
Space group P-1 (No. 2)
Unique sites:
Li 0.071 0.323 0.175 (multiplicity 2)
Li 0.427 0.677 0.324 (multiplicity 2)
V 0.000 0.000 0.500 (multiplicity 1)
V 0.500 0.500 0.000 (multiplicity 1)
Fe 0.000 0.500 0.500 (multiplicity 1)
Fe 0.500 0.000 0.000 (multiplicity 1)
P 0.019 0.732 0.158 (multiplicity 2)
P 0.482 0.269 0.342 (multiplicity 2)
H 0.209 0.837 0.649 (multiplicity 2)
H 0.290 0.159 0.849 (multiplicity 2)
O 0.034 0.120 0.738 (multiplicity 2)
O 0.056 0.773 0.606 (multiplicity 2)
O 0.113 0.619 0.272 (multiplicity 2)
O 0.175 0.842 0.019 (multiplicity 2)
O 0.189 0.426 0.940 (multiplicity 2)
O 0.310 0.571 0.558 (multiplicity 2)
O 0.325 0.159 0.480 (multiplicity 2)
O 0.388 0.381 0.227 (multiplicity 2)
O 0.443 0.222 0.895 (multiplicity 2)
O 0.465 0.879 0.761 (multiplicity 2)

Most intense lines, 2θ = 10–90°, low angle first:
17.6 deg, 5.040 Å, intensity 29.9, (1 0 -1)
18.7 deg, 4.742 Å, intensity 37.7, (1 0 1)
26.5 deg, 3.370 Å, intensity 59.1, (1 -2 1)
26.8 deg, 3.332 Å, intensity 100.0, (-1 2 1)
28.9 deg, 3.090 Å, intensity 68.5, (2 0 0)
35.9 deg, 2.499 Å, intensity 29.0, (1 0 -3)

Simulated powder diffraction line list of MgV4O8 for Cu Ka, from a DFT-relaxed cell (PBE+U, the Materials Project).

abc: 5.278 6.447 5.279
angles: 90.00 114.21 90.00
Space group Pm (No. 6)
~~~
As Corin the shepherd, a small but central role, Anthony O’Donnell gives a master class in Shakespearian acting to his fellow cast members. He knows how to find the lived reality in his lines and gives them back to the audience delightedly. O’Donnell also knows how to take his time; he doesn’t belabor or mug for a quick laugh. He’s the only person onstage all evening that you will believe belongs in a forest and he’s certainly the only one who knows how to survive there.
Mendes production is cool and cerebral and brilliantly executed, but it’s uninvolving. Even the weddings and dances feel provisional and those long shadows, that haunt this chilly production and fall everywhere on set designer Tom Piper’s stage, keep growing. Mendes seems anxious to remind us of the tragedies that followed on the heels of Shakespeare’s sunniest play.
As You Like It, now playing at BAM, Brooklyn. For tickets call (718) 636-4100.
